
Will Katie Couric Kill General Hospital?

Hamilton Nolan · 05/05/11 02:00PM

In your pokey Thursday media column: the latest Katie Couric rumors, The Daily's quite unprofitable, MTV's CEO resigns, more Bill Keller columnizing, and some WaPo departures.

MTV's Sneaky Election Day Plans?

cityfile · 10/31/08 02:40PM

Nikki Finke says that MTV is planning a massive round of layoffs. And they've decided to do it on Tuesday so that the news is totally overshadowed by Election Day. True? We don't know. But it isn't a bad idea. All those hipstery PAs won't know whether to mourn the loss of their jobs or celebrate the election of Barack Obama, and we're guessing the two will cancel one another out. That Judy is a clever one, isn't she? [Deadline Hollywood]

Exclusive: MTV Video Music Awards Are Leaving Las Vegas, Bound For L.A.

Mark Graham · 06/20/08 04:50PM

Sources are telling us this afternoon that the executives at MTV have decided against returning to Las Vegas, the scene of the 2007 Video Music Awards, for the 2008 incarnation of the show. Instead, this year's VMAs will be broadcast live on September 7 from the Paramount Pictures Studio in Los Angeles. While one source told Defamer that it was a case of "been there, done that", a separate source told us that the "very chaotic" proceedings last year had something to do with the decision not to return to The Palms Hotel in Vegas (where, you'll recall, a clearly out-of-shape Britney Spears nearly killed her career with a zombified rendition of "Gimme More").

Judy McGrath

cityfile · 02/03/08 09:38PM

Judy McGrath is the former chair and CEO of MTV Networks, the Viacom-owned cable behemoth that controls every other cable channel on the dial including MTV, VH1, TV Land, Comedy Central, CMT, and Nickelodeon.

MTV Memo Barely Mentioned Drastic Benefits Changes

Maggie · 12/05/07 03:20PM

Was MTV trying to get away with snowing contractors into signing away benefits by just sort of, you know, not mentioning it and hoping for the best? "We were distributed the paperwork and told that we were to fill it out because MTV was changing payroll companies. There was no mention of the insurance change AT ALL," says one freelancer, who was not pleased to learn of the change in her work conditions from the Internets. Full memo after the jump.

Joshua Stein · 10/22/07 10:17AM

Judy McGrath, Chairman and CEO of MTV (and former recipe writer for Mademoiselle and amateur paremiologist), sheds light on MTV's target demographic: "When you have a child (mine is12), it's a gift, and a live-in focus group. She was doing her homework while listening to music online. She said, 'Mom, found this band called Jefferson Airplane. Who are they?' I thought, in the words of Justin Timberlake, what goes around comes around." [NYT]

MTV Layoffs: Half As Bad As Expected (Still Bad Though)

Emily Gould · 02/12/07 08:43AM

Last week, we spread the rumor that MTV would be firing around 500 people this week. This morning, chairman and CEO Judy McGrath sent around an email—at 6:17 a.m., no less—announcing that in order to "explore new business models" because their "industry is at an inflection point" (??), only 250 people will be let go. The full email is after the jump; please read it and let us know if you're any clearer on what an 'inflection point' is afterwards.

MTV News: You Share It First

abalk2 · 01/16/07 12:20PM

**The text is interrupted by data records:**
~~~
Record 1
Computed, not measured: C26H24N5O2SbSe4Ti as an isolated structure at a distorted geometry, with the ωB97M-V functional and the def2-TZVPD basis.

Results
**Energy above the lowest of the compared OMol25 structures with the same formula, charge and spin**: 6.4 kcal per mole
**Net charge**: -1
**LUMO (alpha / beta)**: 1.75 / 1.75 eV
**Highest occupied orbital energy (alpha / beta)**: -3.89 / -3.89 eV
**Multiplicity**: 2
**Frontier orbital gap (alpha / beta)**: 0.2074 / 0.2072 hartree
**F_max**: 2.199 eV Å⁻¹

CARTESIAN COORDINATES (ANGSTROEM)
Sb  -0.29  1.33  4.48
Se  2.14  1.42  4.81
Se  -1.41  3.43  4.93
Se  -0.72  1.03  1.85
Se  -1.38  -0.62  5.49
Ti  0.14  -0.46  -0.03
O  -2.27  -0.66  0.14
O  3.64  -2.44  -0.39
N  1.51  1.31  0.28
N  -4.10  0.04  -0.95
N  0.87  -1.78  1.56
N  -0.33  -2.03  -1.32
N  1.86  -1.03  -0.77
C  2.11  3.47  -0.49
C  2.20  -1.85  1.42
C  2.31  1.49  1.33
C  -3.55  1.09  1.16
C  -1.42  1.48  -3.71
C  -1.90  -3.31  -2.58
C  3.06  -2.07  2.48
C  -0.64  2.62  -3.80
C  0.06  -2.48  -3.64
C  1.39  2.29  -0.63
C  0.41  2.03  -1.71
C  0.27  2.90  -2.80
C  -3.23  0.09  0.08
C  2.93  3.66  0.61
C  2.52  -2.26  3.74
C  3.03  2.65  1.55
C  -1.28  0.63  -2.62
C  2.67  -1.78  -0.01
C  -2.63  0.92  2.36
C  -1.15  -3.14  -3.74
C  -1.46  -2.75  -1.40
C  1.14  -2.27  3.88
C  1.80  -1.31  -2.18
C  0.35  -2.01  2.77
C  0.45  -1.96  -2.42
C  -0.38  0.87  -1.58
H  0.88  3.79  -2.88
H  0.71  -2.37  -4.50
H  0.67  -2.41  4.84
H  -4.82  0.74  -1.05
H  3.62  2.74  2.45
H  -2.01  -2.86  -0.48
H  3.46  4.59  0.74
H  -3.44  2.09  0.75
H  2.00  4.26  -1.23
H  -1.49  -3.54  -4.68
H  4.12  -2.08  2.30
H  -2.83  -3.86  -2.59
H  -0.72  -1.96  2.86
H  -3.87  -0.52  -1.75
H  1.91  -0.41  -2.78
H  -1.88  -0.27  -2.61
H  -4.59  0.96  1.47
H  -2.81  -0.03  2.86
H  2.59  -2.01  -2.45
H  -2.13  1.25  -4.50
H  2.34  0.69  2.07
H  3.15  -2.36  4.60
H  -0.74  3.29  -4.64
H  -2.81  1.72  3.07


Record 2
Computed, not measured: one molecule with the formula C7H15NS at a distorted geometry, with the ωB97M-V functional and the def2-TZVPD basis.

Results
**Energy above the lowest of the compared OMol25 structures with the same formula, charge and spin**: 136.1 kcal per mole
**LUMO (alpha / beta)**: 0.44 / 0.44 eV
**Highest occupied orbital energy (alpha / beta)**: -6.57 / -6.57 eV
**SMILES string**: C=[S@](C)(=CN)C1(C)CC1
**Frontier orbital gap (alpha / beta)**: 0.2576 / 0.2576 hartree
**F_max**: 3.408 eV Å⁻¹

CARTESIAN COORDINATES (ANGSTROEM)
S  0.14  0.56  -0.46
N  -1.38  0.65  -2.86
C  -0.71  1.51  -2.03
C  -0.11  -1.76  1.31
~~~
**Back to the text:**

Our insider's analysis of the situation at MTV yesterday drew an immediate and contrary response. We reprint it here in order to give both sides of the story. Also, because it gives us another excuse to run that picture of MTV's Mika Salmi.

Inside Baseball: MTV Networks

abalk2 · 01/15/07 11:10AM

The recent staffing changes over at MTV Networks made us curious: What exactly is going on at everyone's favorite former home of music videos? A former Viacom staffer is on hand to answer our questions. After the jump, analysis and what's probably a little axe-grinding. Either way, it's not a pretty picture. Much like that shot of MTV Global Digital Media Whatever Mika Salmi.